-- Exercise --
Please duplicate the lines below up to the one that holds "spin: 653.37", that line included.

-- Contents --
'''
[1]
ORCA calculation (the ωB97M-V functional and the def2-TZVPD basis) on a single C3H4OSi molecule at a distorted geometry.

Geometry as ORCA input:
```
! RIJCOSX wB97M-V def2-TZVPD def2/J DEFGRID3
* xyz 0 1
C 1.1751 1.0944 -0.1939
C 0.5991 -0.1945 0.0335
C 1.5478 -1.1023 0.1423
O 2.5308 -1.7344 0.1035
Si -1.2081 0.1366 -0.0736
H 0.2786 1.8835 -0.0043
H -1.3193 0.8514 1.1741
H -1.9531 0.4108 -1.2298
H -1.6508 -1.3454 0.0484
*
```

Properties
Largest force on an atom: 0.08786 hartree/bohr
Energy: -13095.255 eV
HOMO-LUMO gap: 7.8374 eV
Energy above the lowest of the compared OMol25 structures with the same formula, charge and spin: 344.07 kJ/mol

=====

[2]
ORCA calculation (the ωB97M-V functional and the def2-TZVPD basis) on 5 unconnected molecules or ions with the total composition C3H15NO4 at a distorted geometry.

Geometry as ORCA input:
```
! RIJCOSX wB97M-V def2-TZVPD def2/J DEFGRID3
* xyz 0 1
C 2.1183 -1.5057 0.0525
C 1.3114 -0.1575 -0.2643
C 1.8891 1.1215 -0.1030
N 0.2567 -0.4621 -1.2453
H 1.6909 -2.2354 -0.6391
H 1.9552 -1.8157 1.1201
H 3.1586 -1.4808 -0.2745
H 2.0174 1.7159 -1.0052
H 2.5526 1.6219 0.6000
H -0.6633 -0.7137 -0.8846
H 0.2250 0.4013 -1.8563
H -2.6977 2.2163 -1.9191
H -2.3605 1.0291 -0.9198
O -2.2356 1.3663 -1.8401
H -1.6781 -2.7373 0.5750
H -1.7516 -1.1660 0.6961
O -1.1472 -1.9576 0.7473
H -0.7923 1.2386 1.3258
H -2.6671 0.9621 1.3127
O -2.3592 0.3262 0.6319
H 0.4559 -0.0947 0.5487
H 0.7645 1.3349 1.4399
O -0.0431 0.9922 1.9016
*
```

Properties
Largest force on an atom: 0.08877 hartree/bohr
Energy: -13028.266 eV
HOMO-LUMO gap: 5.2627 eV
Energy above the lowest of the compared OMol25 structures with the same formula, charge and spin: 653.37 kJ/mol

=====

[3]
ORCA calculation (the ωB97M-V functional and the def2-TZVPD basis) on a molecular structure, C29H31FeO3PSSeSiTe at a distorted geometry.

Geometry as ORCA input:
```
! RIJCOSX wB97M-V def2-TZVPD def2/J DEFGRID3
* xyz 1 6
Fe 0.1787 0.0764 0.6031
O -2.9403 0.3788 -2.2191
S -2.1125 -0.3833 -1.2950
O -1.2141 -0.3014 1.7646
O -0.7226 0.3179 -1.0436
C -1.5030 -1.7901 -2.2620
C -2.2340 -2.0765 -3.4063
C -1.8256 -3.0848 -4.2677
C -0.6790 -3.8080 -3.9893
C 0.0456 -3.5323 -2.8394
C -0.3508 -2.5275 -1.9593
P 0.7111 -2.2900 -0.4899
C 2.2301 -1.5345 -1.1589
C 3.3384 -1.3949 -0.3191
C 4.4845 -0.7686 -0.7726
C 4.5243 -0.2465 -2.0619
C 3.4162 -0.3488 -2.8866
C 2.2673 -0.9911 -2.4391
C 1.1680 -3.9858 0.0022
C 2.4291 -4.5221 -0.2426
C 2.7151 -5.8334 0.1160
C 1.7487 -6.6228 0.7183
C 0.4823 -6.1029 0.9509
C 0.1969 -4.7957 0.5938
H -3.1071 -1.4775 -3.6275
H -2.3978 -3.2943 -5.1619
H -0.3437 -4.5860 -4.6622
H 0.9349 -4.1135 -2.6277
H 3.3075 -1.7748 0.6962
H 5.3435 -0.6803 -0.1199
H 5.4217 0.2438 -2.4176
H 3.4403 0.0682 -3.8850
H 1.4043 -1.0584 -3.0880
H 3.1977 -3.9326 -0.7228
H 3.6984 -6.2375 -0.0852
H 1.9753 -7.6436 0.9956
H -0.2880 -6.7157 1.4009
H -0.8113 -4.4347 0.7455
C -3.9139 -1.7528 2.5355
Te -2.0903 -1.9595 1.4947
C -1.5322 -2.8853 3.3132
C -2.7751 -3.6959 3.5823
C -2.7695 -4.9577 4.1585
C -3.9668 -5.6343 4.3453
C -5.1660 -5.0608 3.9445
C -5.1801 -3.8053 3.3539
C -3.9879 -3.1171 3.1806
H -4.7408 -1.5264 1.8689
H -3.7568 -0.9306 3.2367
H -1.3883 -2.0602 4.0145
H -0.6162 -3.4633 3.2221
H -1.8331 -5.4068 4.4668
H -3.9629 -6.6160 4.8001
H -6.0944 -5.5984 4.0829
H -6.1149 -3.3628 3.0332
C 2.5825 3.1699 -1.6167
Si 2.9546 3.2475 0.1889
'''

-- Outcome --
[1]
ORCA calculation (the ωB97M-V functional and the def2-TZVPD basis) on a single C3H4OSi molecule at a distorted geometry.

Geometry as ORCA input:
```
! RIJCOSX wB97M-V def2-TZVPD def2/J DEFGRID3
* xyz 0 1
C 1.1751 1.0944 -0.1939
C 0.5991 -0.1945 0.0335
C 1.5478 -1.1023 0.1423
O 2.5308 -1.7344 0.1035
Si -1.2081 0.1366 -0.0736
H 0.2786 1.8835 -0.0043
H -1.3193 0.8514 1.1741
H -1.9531 0.4108 -1.2298
H -1.6508 -1.3454 0.0484
*
```

Properties
Largest force on an atom: 0.08786 hartree/bohr
Energy: -13095.255 eV
HOMO-LUMO gap: 7.8374 eV
Energy above the lowest of the compared OMol25 structures with the same formula, charge and spin: 344.07 kJ/mol

=====

[2]
ORCA calculation (the ωB97M-V functional and the def2-TZVPD basis) on 5 unconnected molecules or ions with the total composition C3H15NO4 at a distorted geometry.

Geometry as ORCA input:
```
! RIJCOSX wB97M-V def2-TZVPD def2/J DEFGRID3
* xyz 0 1
C 2.1183 -1.5057 0.0525
C 1.3114 -0.1575 -0.2643
C 1.8891 1.1215 -0.1030
N 0.2567 -0.4621 -1.2453
H 1.6909 -2.2354 -0.6391
H 1.9552 -1.8157 1.1201
H 3.1586 -1.4808 -0.2745
H 2.0174 1.7159 -1.0052
H 2.5526 1.6219 0.6000
H -0.6633 -0.7137 -0.8846
H 0.2250 0.4013 -1.8563
H -2.6977 2.2163 -1.9191
H -2.3605 1.0291 -0.9198
O -2.2356 1.3663 -1.8401
H -1.6781 -2.7373 0.5750
H -1.7516 -1.1660 0.6961
O -1.1472 -1.9576 0.7473
H -0.7923 1.2386 1.3258
H -2.6671 0.9621 1.3127
O -2.3592 0.3262 0.6319
H 0.4559 -0.0947 0.5487
H 0.7645 1.3349 1.4399
O -0.0431 0.9922 1.9016
*
```

Properties
Largest force on an atom: 0.08877 hartree/bohr
Energy: -13028.266 eV
HOMO-LUMO gap: 5.2627 eV
Energy above the lowest of the compared OMol25 structures with the same formula, charge and spin: 653.37 kJ/mol